In work the other day when one of the cashiers catches my eye. She does this because she has to twist round 180 degrees to even face me, so I tend to notice this kind of thing, plus she's mouthing frantically at me (although it takes me a little while to work out what she's mouthing) which is "Page G" (one of our supervisors).
So I page him over, and while I'm on the tannoy I look around to see if I can work out what's going on. Spot me a couple kids (bout 14 summers, ah reckon) sniffing round the Yu-Gi-Oh cards, and taking a frightful long time to actually choose any. Hmm. Suspicion abounds, but from where I'm standing I can't see too much, so I motion G in the direction of the checkouts and deal with the customer who's turned up since.
When I come back down from my foray into the warehouse (bout 5 mins later) the kids are still at the cards... so I walk around through the staff only area and come out a different set of doors, to where, lo and behold, 2 other staff members are watching these kids stuffing packs of cards into their pockets and trying (and failing so very well) at being discreet about it. But the supervisor and manager know about it, so I leave them to it.
They pay for like, 2 packs of cards (yeah, that'll throw us right off) and walk out of the store.
Or they try.
It should be mentioned that about 1 in 5 packs of cards are security tagged
So they get busted (they would have anyway) police get called, and they get taken away. And the stupidest thing?
They'd been caught doing the same damn thing less than a week before.
I despair...
So I page him over, and while I'm on the tannoy I look around to see if I can work out what's going on. Spot me a couple kids (bout 14 summers, ah reckon) sniffing round the Yu-Gi-Oh cards, and taking a frightful long time to actually choose any. Hmm. Suspicion abounds, but from where I'm standing I can't see too much, so I motion G in the direction of the checkouts and deal with the customer who's turned up since.
When I come back down from my foray into the warehouse (bout 5 mins later) the kids are still at the cards... so I walk around through the staff only area and come out a different set of doors, to where, lo and behold, 2 other staff members are watching these kids stuffing packs of cards into their pockets and trying (and failing so very well) at being discreet about it. But the supervisor and manager know about it, so I leave them to it.
They pay for like, 2 packs of cards (yeah, that'll throw us right off) and walk out of the store.
Or they try.
It should be mentioned that about 1 in 5 packs of cards are security tagged

So they get busted (they would have anyway) police get called, and they get taken away. And the stupidest thing?
# Dy2Y2Tl3

A geometry-optimized Dy2Y2Tl3 structure (PBE, Alexandria via LeMat-Bulk).

The structure in extended XYZ format:
```
7
Lattice="-2.373 -2.235 1.367 2.568 -1.583 1.871 -3.753 8.993 12.762" Properties=species:S:1:pos:R:3 pbc="T T T"
Y -3.306 5.710 12.739
Tl -3.071 0.516 4.654
Tl 0.000 0.000 0.000
Y -0.251 -0.535 3.260
Tl -3.054 6.242 9.475
Dy -2.620 3.006 9.509
Dy -0.937 2.169 6.490
```
They'd been caught doing the same damn thing less than a week before.
I despair...